Posted By Wanda Rich
Posted on June 8, 2022
The financial value of non-financial performance is debatable, but in the long term, one cannot exist without the other, explain Franck Bancel and Henri Philippe.
Over the past two decades, the pressure on companies in terms of non-financial performance (or ESG performance) has increased significantly. Several reasons explain this major development. One is the regulatory framework, which has imposed new rules on companies in terms of non-financial reporting and has reinforced transparency obligations. Another is the financial community, especially large institutional investors, which considers that respecting the environment (E), taking on social responsibilities (S) and setting up effective governance mechanisms (G) are all essential to a company’s long-term development. Institutional investors are now sensitive to ESG criteria and analyse non-financial performance carefully before deciding to invest in a company.
_Misplaced materials data_
/*
Computed, not measured: BaGdCuTe3 after structural relaxation at the meta-GGA r2SCAN level of DFT.

Computed properties:
Crystal system: orthorhombic
E (eV/atom): -26.863
Mass density (kg/m³): 6364

Cell: 4.463 14.994 11.556 Å, 90.00 90.00 90.00°
Space group Cmcm (No. 63)
One atom of each set of equivalent atoms:
Ba 0.000 0.249 0.250 [4 per cell]
Gd 0.000 0.500 0.000 [4 per cell]
Cu 0.000 0.033 0.750 [4 per cell]
*/
However, although ESG performance may be a source of competitive advantage, it also generates additional costs for companies. These costs may be significant and may have a negative impact on company cash flows. This is why understanding the relationship and interactions between ESG performance and financial performance is critical. For example, do investments that improve ESG performance necessarily translate into higher profitability and/or higher stock market performance? How can we define the level of investment required to reach a “good” level of ESG performance? What does a good level of ESG performance mean? Investors also have to face similar issues. Does investing in companies that perform well on non-financial criteria necessarily create value for investors? Will this value be integrated in stock prices in the short term, or do investors have to wait a certain period to benefit from that value creation? Should we consider that companies with poor non-financial performance destroy financial value and that the only option for investors is to sell their shares in such companies?
Researchers have tried to answer these questions and there is now a wealth of academic literature focusing on the relationship between financial and non-financial performance. However, the answers are not always so clear-cut. Although the majority of academic studies show that companies that perform well in terms of non-financial criteria are more profitable, incremental profitability appears limited. In the same way, the majority of academic studies conclude that companies that perform well on non-financial criteria are valued more highly, but again, the results are not particularly significant. It also seems that companies with a better ESG rating are structurally less risky and have a lower cost of financing, but even this difference is narrow. In other words, the academic literature does not clearly conclude on the financial value of non-financial performance. Researchers consider that additional work must be carried out to try to answer these questions. The fact is that researchers are struggling to resolve two major issues: the direction of causality and the measure of what non-financial performance is. It is not clear whether ESG performance improves financial performance or vice versa. The most profitable companies can more easily invest in ESG; perhaps, therefore, the direction of the relationship is reversed. The other difficulty is defining what constitutes a “good” company according to non-financial criteria. For example, non-financial rating agencies can attribute different ESG ratings to the same company because these agencies use different methodologies (they do not evaluate the same aspects of ESG performance). Beyond that, measuring the externalities that condition a company’s non-financial performance is a particularly complex exercise.
=====
Entry 1:
ZnHg3Se3Br2: relaxed, GGA-PBE.

Computed properties:
DFT total energy: -2.0477 eV per atom
magnetization: 0.00 μB/cell
space-group type: P-1

a b c (Å): 7.6734 9.6698 9.9412
angles (deg): 108.74 107.22 102.33
Last column: nearest neighbours and their distance in Å.
Sites, in units of the cell vectors:
Zn  0.0880  0.1840  0.1388  4 Se 2.46-2.63
Zn  0.9120  0.8160  0.8612  4 Se 2.46-2.63
Hg  0.0000  0.0000  0.5000  2 Br 2.59
Hg  0.0000  0.5000  0.0000  2 Se 2.52
Hg  0.0000  0.5000  0.5000  2 Se 2.54
Hg  0.5000  0.0000  0.0000  2 Se 2.54
Hg  0.5000  0.0000  0.5000  2 Br 2.48
Hg  0.5000  0.5000  0.0000  2 Se 2.58
Se  0.1506  0.2952  0.4154  1 Zn 2.46, 1 Hg 2.54
Se  0.2271  0.9650  0.0944  2 Zn 2.52-2.54, 1 Hg 2.54
Se  0.2876  0.4463  0.1480  2 Hg 2.52-2.58, 1 Zn 2.63
Se  0.7124  0.5537  0.8520  2 Hg 2.52-2.58, 1 Zn 2.63
Se  0.7729  0.0350  0.9056  2 Zn 2.52-2.54, 1 Hg 2.54
Se  0.8494  0.7048  0.5846  1 Zn 2.46, 1 Hg 2.54
Br  0.2027  0.7705  0.3923  1 Hg 2.48
Br  0.3175  0.1422  0.7463  1 Hg 2.59
Br  0.6825  0.8578  0.2537  1 Hg 2.59
Br  0.7973  0.2295  0.6077  1 Hg 2.48

Entry 2:
Hg3TeBr4: relaxed, GGA-PBE.

Computed properties:
DFT total energy: -1.7469 eV per atom
magnetization: 0.00 μB/cell
space-group type: Pbca

a b c (Å): 13.0307 13.2538 13.3847
angles (deg): 90.00 90.00 90.00
Last column: nearest neighbours and their distance in Å.
Sites, in units of the cell vectors:
Hg  0.1195  0.0893  0.1886  1 Br 2.60, 1 Te 2.73
Hg  0.1195  0.4107  0.6886  1 Br 2.60, 1 Te 2.73
Hg  0.1802  0.6909  0.7652  2 Br 2.59-2.80, 1 Te 2.74
Hg  0.1802  0.8091  0.2652  2 Br 2.59-2.80, 1 Te 2.74
Hg  0.2309  0.0969  0.4871  1 Br 2.54, 1 Te 2.72
Hg  0.2309  0.4031  0.9871  1 Br 2.54, 1 Te 2.72
Hg  0.2691  0.5969  0.4871  1 Br 2.54, 1 Te 2.72
Hg  0.2691  0.9031  0.9871  1 Br 2.54, 1 Te 2.72
Hg  0.3198  0.1909  0.7652  2 Br 2.59-2.80, 1 Te 2.74
Hg  0.3198  0.3091  0.2652  2 Br 2.59-2.80, 1 Te 2.74
Hg  0.3805  0.5893  0.1886  1 Br 2.60, 1 Te 2.73
Hg  0.3805  0.9107  0.6886  1 Br 2.60, 1 Te 2.73
Hg  0.6195  0.0893  0.3114  1 Br 2.60, 1 Te 2.73
Hg  0.6195  0.4107  0.8114  1 Br 2.60, 1 Te 2.73
Hg  0.6802  0.6909  0.7348  2 Br 2.59-2.80, 1 Te 2.74
Hg  0.6802  0.8091  0.2348  2 Br 2.59-2.80, 1 Te 2.74
Hg  0.7309  0.0969  0.0129  1 Br 2.54, 1 Te 2.72
Hg  0.7309  0.4031  0.5129  1 Br 2.54, 1 Te 2.72
Hg  0.7691  0.5969  0.0129  1 Br 2.54, 1 Te 2.72
Hg  0.7691  0.9031  0.5129  1 Br 2.54, 1 Te 2.72
Hg  0.8198  0.1909  0.7348  2 Br 2.59-2.80, 1 Te 2.74
Hg  0.8198  0.3091  0.2348  2 Br 2.59-2.80, 1 Te 2.74
Hg  0.8805  0.5893  0.3114  1 Br 2.60, 1 Te 2.73
Hg  0.8805  0.9107  0.8114  1 Br 2.60, 1 Te 2.73
Te  0.0973  0.5961  0.6026  3 Hg 2.72-2.74
Te  0.0973  0.9039  0.1026  3 Hg 2.72-2.74
Te  0.4027  0.0961  0.6026  3 Hg 2.72-2.74
Te  0.4027  0.4039  0.1026  3 Hg 2.72-2.74
Te  0.5973  0.5961  0.8974  3 Hg 2.72-2.74
Te  0.5973  0.9039  0.3974  3 Hg 2.72-2.74
Te  0.9027  0.0961  0.8974  3 Hg 2.72-2.74
Te  0.9027  0.4039  0.3974  3 Hg 2.72-2.74
=====
In light of all this, what would we say to a company that is hesitant to invest in order to improve its non-financial performance? Paradoxically, we do not think that our advice would relate directly to financial arguments. We would explain to this company that by not managing its non-financial performance, it risks being increasingly ostracised by financial investors, more broadly by its customers and even by the future employees that it hopes to recruit. Furthermore, regulatory frameworks are set to be strengthened; it would be better to prepare for such a development, or even to help build it, rather than to suffer as a result of it. This means that non-financial performance will affect access to financing, for example, as well as the quality of recruitment and ultimately the company’s ability to be competitive. In this sense, financial and non-financial performance are intrinsically linked, and one will not exist without the other in the long term. This is a real paradigm shift for investors and companies alike.
In this context, the question for companies is no longer whether they should invest in ESG; the answer is positive. However, the question now is how to make progress in managing non-financial performance. This will require a better understanding of the level of investment and the organisational changes necessary to achieve this new objective.
Franck Bancel is a Professor of Corporate Finance at ESCP Business School, where he was Associate Dean for Research and Director of the doctoral programme.
Henri Philippe is a partner at Accuracy, a corporate finance consulting firm.